Homelessness and rough sleeping strategy
Action plan - priority 4 - tackling rough sleeping
Via our outreach service, continue to respond to reports of rough sleeping and ensure this response adequately engages with rough sleepers
- Lead responsibility - Outreach service manager
- Resources - Commissioning funds
- Timescale - ongoing quarterly monitoring via contract
Raise awareness to the public on the extent of homelessness and rough sleeping and street begging and what the council and partners are doing about it
- Lead responsibility - Rough sleeping co-ordinator, partnerships
- Resources - RSI Funding
- Timescale - 2020
Develop the local make it count scheme
- Lead responsibility - Rough sleeping co-ordinator, partnerships
- Resources - RSI Funding
- Timescale - 2020
Look at options which would support the accommodation of people rough sleeping including (the severe weather emergency protocol (SWEP)) to ensure a multiagency approach can be called upon to end their street homelessness
- Lead responsibility - Rough sleeping co-ordinator
- Resources - RSI Funding
- Timescale - 2020
Develop closer links with voluntary and community agencies, such as foodbanks and faith based organisations to promote effective local responses and consistency in tackling homelessness across the borough
- Lead responsibility - Rough sleeping co-ordinator
- Resources - RSI Funding
- Timescale - 2020
Ensure those considered not in 'priority need' receive the same level of advice and assistance as those who trigger the statutory definition
- Lead responsibility - Housing strategy, NHA
- Resources - Housing Advice Service contract funding
- Timescale - ongoing
- Comments - quarterly contract monitoring
Explore the viability of launching a Housing First model of support to the most complex and vulnerable to sustain tenancies
- Lead responsibility - Housing strategy, Rough sleeping co-ordinator
- Resources - within current resources
- Timescale - 2020
Attached: records of crystals >
┌──
The following is a computed powder diffractogram of CaBHO3. It was derived from a crystal structure in the Materials Project, relaxed with GGA-PBE, using a wavelength of 1.5418 Å.
Intensities are scaled so that the largest is 1000.

Peak list (12 most intense, 2θ from 5° to 70°, low angle first)
2theta  intensity  (hkl)
14.85  234  0 1 1
23.34  210  0 0 2
26.58  275  1 0 0
29.92  1000  0 2 2
32.60  335  1 2 0
34.08  779  1 2 -2
40.18  261  0 2 3
43.66  266  1 3 1
45.58  185  0 3 3
46.59  169  1 4 0
47.70  301  1 4 -2
53.45  184  1 1 3

Cell: 3.5982 9.5859 8.1817 Å, 90.00 111.33 90.00°
Fractional positions:
Ca (0.0819, 0.0073, 0.2911)
Ca (0.0819, 0.4927, 0.7911)
Ca (0.9181, 0.5073, 0.2089)
Ca (0.9181, 0.9927, 0.7089)
B (0.2970, 0.2359, 0.0780)
B (0.2970, 0.2641, 0.5780)
B (0.7030, 0.7359, 0.4220)
B (0.7030, 0.7641, 0.9220)
H (0.1928, 0.7360, 0.6439)
H (0.1928, 0.7640, 0.1439)
H (0.8072, 0.2360, 0.8561)
H (0.8072, 0.2640, 0.3561)
O (0.0058, 0.1659, 0.9352)
O (0.0058, 0.3341, 0.4352)
O (0.3142, 0.1204, 0.5754)
O (0.3142, 0.3796, 0.0754)
O (0.4718, 0.6546, 0.2857)
O (0.4718, 0.8454, 0.7857)
O (0.5282, 0.1546, 0.2143)
O (0.5282, 0.3454, 0.7143)
O (0.6858, 0.6204, 0.9246)
O (0.6858, 0.8796, 0.4246)
└──
The article goes on >
Deliver, monitor and review existing rough sleeping services to ensure value for money and the objectives are met
- Lead responsibility - Rough sleeping co-ordinator
- Resources - within current resources
- Timescale - ongoing
- Comments - Current outreach contract expired in 2020
Work closely with the MHCLG rough sleeper advisor on existing and new grant opportunities a to shape services for 2020/21 and beyond
- Lead responsibility - Rough sleeping co-ordinator
- Resources - RSI Funding
- Timescale - ongoing
Gather data on the rough sleeping population to inform future bids for funding and feed into future service provision
- Lead responsibility - Rough sleeping co-ordinator
- Resources - RSI Funding
- Timescale - 2020
Work with other statutory partners on identifying gaps in services for the most complex individuals
- Lead responsibility - Housing strategy, Rough sleeping co-ordinator
- Resources - within current resources
- Timescale - 2020